........
Entry 1:
# LiFe2B2O6
Computed XRD peak list, Cu Kα X-rays. Input: a DFT-relaxed cell (GGA+U, the Materials Project).
Lines closer than 0.1° are merged.

The 12 most intense peaks (10 to 80 degrees two-theta), sorted by position:
d [Å]  I (rel.)  (hkl)
4.560  41  1 1 -1
4.521  72  0 2 0
4.125  57  0 2 1
4.104  88  1 1 -2
3.439  69  1 1 1
3.326  50  1 1 -3
2.641  31  2 0 -2
2.618  71  1 3 -1
2.519  100  0 0 4
2.240  47  2 2 -1
2.206  29  0 4 1
1.821  27  1 1 -6

Cell and atoms:
Unit cell a=5.2853 b=9.0416 c=11.2036 alpha=90.00 beta=115.91 gamma=90.00
Atoms (fractional coordinates):
Li 0.0000 0.2391 0.0000
Li 0.0000 0.7609 0.5000
Li 0.4378 0.2564 0.7427
Li 0.4378 0.7436 0.2427
Fe 0.0241 0.0993 0.5154
Fe 0.0241 0.9007 0.0154
Fe 0.4529 0.0875 0.2778
Fe 0.4529 0.9125 0.7778
Fe 0.5295 0.4212 0.0244
Fe 0.5295 0.5788 0.5244
Fe 0.9620 0.4175 0.7699
Fe 0.9620 0.5825 0.2699
B 0.0489 0.4261 0.5297
B 0.0489 0.5739 0.0297
B 0.4578 0.4157 0.2740
B 0.4578 0.5843 0.7740
B 0.5214 0.0872 0.0193
B 0.5214 0.9128 0.5193
B 0.9483 0.0794 0.7749
B 0.9483 0.9206 0.2749
O 0.1288 0.4434 0.9866
O 0.1288 0.5566 0.4866
O 0.1720 0.0737 0.7391
O 0.1720 0.9263 0.2391
O 0.1943 0.2974 0.5486
O 0.1943 0.7026 0.0486
O 0.3123 0.0809 0.0649
O 0.3123 0.9191 0.5649
O 0.3339 0.2841 0.2748
O 0.3339 0.7159 0.7748
O 0.3872 0.4539 0.8222
O 0.3872 0.5461 0.3222
O 0.6092 0.0392 0.4771
O 0.6092 0.9608 0.9771
O 0.6389 0.2218 0.0107
O 0.6389 0.7782 0.5107
O 0.6467 0.4303 0.2197
O 0.6467 0.5697 0.7197
O 0.8241 0.4357 0.5614
O 0.8241 0.5643 0.0614
O 0.8396 0.0509 0.3005
O 0.8396 0.9491 0.8005
O 0.8427 0.2136 0.7904
O 0.8427 0.7864 0.2904

---

Entry 2:
# LiFe2B2O6
Computed XRD peak list, Cu Kα X-rays. Input: a DFT-relaxed cell (GGA+U, the Materials Project).
Lines closer than 0.1° are merged.

The 12 most intense peaks (10 to 80 degrees two-theta), sorted by position:
d [Å]  I (rel.)  (hkl)
4.566  30  1 1 0
4.523  50  1 -1 0
4.128  100  1 1 -1
3.430  48  1 1 2
3.352  34  0 2 -2
2.645  21  1 3 0
2.624  24  1 -3 0
2.615  24  2 0 0
2.531  68  0 0 4
2.243  15  0 4 1
2.234  18  2 2 1
1.835  19  1 1 -5

Cell and atoms:
Unit cell a=5.2305 b=9.1506 c=10.1292 alpha=88.57 beta=89.38 gamma=89.47
Atoms (fractional coordinates):
Li 0.0000 0.0000 0.0000
Li 0.1464 0.1638 0.2694
Li 0.4741 0.4983 0.5072
Li 0.6545 0.6485 0.7690
Fe 0.0012 0.3375 0.9891
Fe 0.1486 0.5023 0.2362
Fe 0.1502 0.8349 0.7334
Fe 0.4864 0.1593 0.4944
Fe 0.5019 0.8164 0.9962
Fe 0.6520 0.9829 0.2432
Fe 0.6533 0.3149 0.7415
Fe 0.9680 0.6804 0.4844
B 0.1494 0.4986 0.7367
B 0.1569 0.8305 0.2360
B 0.4722 0.8264 0.4918
B 0.4920 0.1557 0.9930
B 0.6511 0.3236 0.2424
B 0.6525 0.9905 0.7427
B 0.9878 0.6656 0.9858
B 0.9905 0.3361 0.4851
O 0.0164 0.9587 0.2239
O 0.0294 0.6336 0.7093
O 0.0430 0.7017 0.2784
O 0.1008 0.4712 0.4460
O 0.1177 0.5458 0.0424
O 0.1226 0.2098 0.4666
O 0.1233 0.7935 0.9504
O 0.2205 0.8399 0.5386
O 0.2325 0.1629 0.0076
O 0.4106 0.4810 0.7201
O 0.4146 0.8298 0.2036
O 0.4941 0.4419 0.2468
O 0.5075 0.8652 0.7731
O 0.5324 0.1194 0.7019
O 0.5509 0.1852 0.2758
O 0.5910 0.9500 0.4378
O 0.5951 0.6941 0.5007
O 0.6306 0.0305 0.0380
O 0.6335 0.2691 0.9350
O 0.7339 0.6559 0.9595
O 0.7383 0.3372 0.5375
O 0.9102 0.9841 0.7571
O 0.9126 0.3332 0.2107
O 0.9966 0.3851 0.7808

---

Entry 3:
# LiFe2B2O6
Computed XRD peak list, Cu Kα X-rays. Input: a DFT-relaxed cell (GGA+U, the Materials Project).
Lines closer than 0.1° are merged.

The 12 most intense peaks (10 to 80 degrees two-theta), sorted by position:
d [Å]  I (rel.)  (hkl)
4.578  46  1 1 1
4.516  79  1 -1 0
4.153  50  0 2 2
4.139  74  1 1 2
4.109  31  1 -1 1
3.423  35  1 1 -1
3.407  37  0 2 -1
3.359  25  1 1 3
2.655  29  1 3 2
2.619  75  -1 3 1
2.523  100  0 0 4
2.239  44  2 2 1

Cell and atoms:
Unit cell a=5.2406 b=9.1557 c=11.3248 alpha=66.51 beta=77.07 gamma=89.07
Atoms (fractional coordinates):
Li 0.0000 0.0000 0.0000
Li 0.1915 0.2360 0.2515
Li 0.4502 0.4662 0.7524
Li 0.7192 0.7541 0.5009
Fe 0.2215 0.5776 0.2283
Fe 0.2503 0.9411 0.4737
Fe 0.4660 0.1458 0.7218
........
Reproduce the lines further up up to the one that holds "0.4529 0.0875", that line included.
Entry 1:
# LiFe2B2O6
Computed XRD peak list, Cu Kα X-rays. Input: a DFT-relaxed cell (GGA+U, the Materials Project).
Lines closer than 0.1° are merged.

The 12 most intense peaks (10 to 80 degrees two-theta), sorted by position:
d [Å]  I (rel.)  (hkl)
4.560  41  1 1 -1
4.521  72  0 2 0
4.125  57  0 2 1
4.104  88  1 1 -2
3.439  69  1 1 1
3.326  50  1 1 -3
2.641  31  2 0 -2
2.618  71  1 3 -1
2.519  100  0 0 4
2.240  47  2 2 -1
2.206  29  0 4 1
1.821  27  1 1 -6

Cell and atoms:
Unit cell a=5.2853 b=9.0416 c=11.2036 alpha=90.00 beta=115.91 gamma=90.00
Atoms (fractional coordinates):
Li 0.0000 0.2391 0.0000
Li 0.0000 0.7609 0.5000
Li 0.4378 0.2564 0.7427
Li 0.4378 0.7436 0.2427
Fe 0.0241 0.0993 0.5154
Fe 0.0241 0.9007 0.0154
Fe 0.4529 0.0875 0.2778